### Job
It remains to give back the whole of the rows underneath without additions.
### Source
'''
# 1
A plane-wave DFT calculation with PBE was carried out for a geometry-optimized NdSm2Er6 structure.

abc: 16.892 9.756 3.453
angles: 90.00 90.17 90.00
Space group C2/m (No. 12)
Inequivalent atoms, fractional coordinates:
1 Nd 0.000 0.000 0.000
2 Sm 0.167 0.500 0.000
3 Er 0.000 0.334 0.500
4 Er 0.167 0.167 0.500

Results
* polymorph energy (0 for the lowest one): 0.000 eV per atom
* calculated formation energy: 0.076 eV/atom
* total energy: -4.5443 eV per atom

***

# 2
A plane-wave DFT calculation with PBE was carried out for a geometry-optimized BiMoWS2 structure.

abc: 4.603 4.603 5.192
angles: 90.00 90.00 90.00
Space group P4/mmm (No. 123)
Inequivalent atoms, fractional coordinates:
1 Bi 0.000 0.000 0.000
2 Mo 0.500 0.500 0.500
3 W 0.500 0.500 0.000
4 S 0.000 0.500 0.500

Results
* E_form (uncorrected): 806 meV/atom
* total energy: -6.3784 eV per atom

***

What did the first record say?
A plane-wave DFT calculation with PBE was carried out for a geometry-optimized NdSm2Er6 structure.

abc: 16.892 9.756 3.453
angles: 90.00 90.17 90.00
Space group C2/m (No. 12)
Inequivalent atoms, fractional coordinates:
1 Nd 0.000 0.000 0.000
2 Sm 0.167 0.500 0.000
3 Er 0.000 0.334 0.500
4 Er 0.167 0.167 0.500

Results
* polymorph energy (0 for the lowest one): 0.000 eV per atom
* calculated formation energy: 0.076 eV/atom
* total energy: -4.5443 eV per atom

* * * * *

# Ba2MgHg, optimized geometry, DFT PBE-GGA
# ΔE to the lowest computed polymorph = 0.018 eV/atom
# ΔE_f = -0.275 eV per atom
data_Ba2MgHg
_cell_length_a 4.244
_cell_length_b 6.073
_cell_length_c 6.073
_cell_angle_alpha 90.00
_cell_angle_beta 90.00
_cell_angle_gamma 90.00
_symmetry_space_group_name_H-M 'P m m 2'
_symmetry_Int_Tables_number 25
_symmetry_space_group_name_Hall 'P 2 -2'
loop_
_atom_site_label
_atom_site_type_symbol
_atom_site_fract_x
_atom_site_fract_y
_atom_site_fract_z
Ba1 Ba 0.000 0.000 0.000
Ba2 Ba 0.000 0.500 0.496
Mg1 Mg 0.500 0.000 0.502
Hg1 Hg 0.500 0.500 0.994
'''
### Reply
# 1
A plane-wave DFT calculation with PBE was carried out for a geometry-optimized NdSm2Er6 structure.

abc: 16.892 9.756 3.453
angles: 90.00 90.17 90.00
Space group C2/m (No. 12)
Inequivalent atoms, fractional coordinates:
1 Nd 0.000 0.000 0.000
2 Sm 0.167 0.500 0.000
3 Er 0.000 0.334 0.500
4 Er 0.167 0.167 0.500

Results
* polymorph energy (0 for the lowest one): 0.000 eV per atom
* calculated formation energy: 0.076 eV/atom
* total energy: -4.5443 eV per atom

***

# 2
A plane-wave DFT calculation with PBE was carried out for a geometry-optimized BiMoWS2 structure.

abc: 4.603 4.603 5.192
angles: 90.00 90.00 90.00
Space group P4/mmm (No. 123)
Inequivalent atoms, fractional coordinates:
1 Bi 0.000 0.000 0.000
2 Mo 0.500 0.500 0.500
3 W 0.500 0.500 0.000
4 S 0.000 0.500 0.500

Results
* E_form (uncorrected): 806 meV/atom
* total energy: -6.3784 eV per atom

***

What did the first record say?
A plane-wave DFT calculation with PBE was carried out for a geometry-optimized NdSm2Er6 structure.

abc: 16.892 9.756 3.453
angles: 90.00 90.17 90.00
Space group C2/m (No. 12)
Inequivalent atoms, fractional coordinates:
1 Nd 0.000 0.000 0.000
2 Sm 0.167 0.500 0.000
3 Er 0.000 0.334 0.500
4 Er 0.167 0.167 0.500

Results
* polymorph energy (0 for the lowest one): 0.000 eV per atom
* calculated formation energy: 0.076 eV/atom
* total energy: -4.5443 eV per atom

* * * * *

# Ba2MgHg, optimized geometry, DFT PBE-GGA
# ΔE to the lowest computed polymorph = 0.018 eV/atom
# ΔE_f = -0.275 eV per atom
data_Ba2MgHg
_cell_length_a 4.244
_cell_length_b 6.073
_cell_length_c 6.073
_cell_angle_alpha 90.00
_cell_angle_beta 90.00
_cell_angle_gamma 90.00
_symmetry_space_group_name_H-M 'P m m 2'
_symmetry_Int_Tables_number 25
_symmetry_space_group_name_Hall 'P 2 -2'
loop_
_atom_site_label
_atom_site_type_symbol
_atom_site_fract_x
_atom_site_fract_y
_atom_site_fract_z
Ba1 Ba 0.000 0.000 0.000
Ba2 Ba 0.000 0.500 0.496
Mg1 Mg 0.500 0.000 0.502
Hg1 Hg 0.500 0.500 0.994